# Material
-- begin --
This record from OMol25 describes C4H8FN in the gas phase in a non-equilibrium geometry. The level of theory is wB97M-V/def2-TZVPD.

* HOMO: -9.61 eV
* molar mass: 89.11 u
* frontier orbital gap: 10.65 eV
* spin multiplicity: 1
* SMILES string: NC/C=C/CF
* net charge: 0
* E_LUMO: 1.04 eV
* ΔE to the lowest compared entry with this formula, charge and spin: 110.25 kJ/mol
* total energy: -8483.8951 eV

Each atom is followed by the atoms it is bonded to, with distances in Å.
Element x y z (Å)
1 N -1.101 -1.429 -1.702  C2 1.497, H7 1.019, H8 1.030
2 C -1.263 -1.649 -0.229  N1 1.497, C3 1.523, H9 1.076, H10 1.091
3 C -0.503 -0.558 0.512  C2 1.523, C4 1.336, H11 1.081
4 C 0.273 0.393 -0.015  C3 1.336, C5 1.474, H12 1.129
5 C 0.692 1.668 0.594  C4 1.474, F6 1.407, H13 1.104, H14 1.103
6 F 2.034 1.522 0.989  C5 1.407
7 H -1.546 -0.517 -1.795  N1 1.019
8 H -1.787 -2.012 -2.201  N1 1.030
9 H -2.278 -1.591 0.124  C2 1.076
10 H -0.851 -2.624 0.035  C2 1.091
11 H -0.735 -0.536 1.568  C3 1.081
12 H 0.698 0.274 -1.055  C4 1.129
13 H 0.690 2.337 -0.285  C5 1.104
14 H 0.014 1.847 1.445  C5 1.103

These are the Mulliken partial charges, in e, on atoms 1 to 5:
1. N -0.654
2. C -0.502
3. C -0.419
4. C -0.102
5. C -0.244

This record from OMol25 describes 2 unconnected molecules or ions with the total composition C4H8FN2 in a non-equilibrium geometry. The level of theory is wB97M-V/def2-TZVPD.

* HOMO: -14.67 eV
* molar mass: 103.12 u
* frontier orbital gap: 9.55 eV
* spin multiplicity: 1
* net charge: +1
* E_LUMO: -5.11 eV
* ΔE to the lowest compared entry with this formula, charge and spin: 438.61 kJ/mol
* total energy: -9964.2792 eV

Each atom is followed by the atoms it is bonded to, with distances in Å.
Element x y z (Å)
1 C 3.305 0.855 0.018  C2 1.283, H8 1.062, H9 1.057
2 C 2.607 -0.220 -0.032  C1 1.283, F7 1.259
3 C 0.170 0.025 -0.116  N5 1.316, N6 1.321
4 C -1.906 -1.145 0.195  N5 1.422, H10 1.161, H11 1.158, H12 1.132
5 N -0.585 -1.034 -0.319  C3 1.316, C4 1.422, H13 1.038
6 N -0.287 1.157 0.388  C3 1.321, H14 0.940, H15 0.999
7 F 2.721 -1.457 0.178  C2 1.259
8 H 4.270 0.798 0.457  C1 1.062
9 H 3.128 1.835 -0.336  C1 1.057
10 H -1.838 -1.034 1.349  C4 1.161
11 H -2.613 -0.294 -0.144  C4 1.158
12 H -2.349 -2.154 -0.063  C4 1.132
13 H -0.051 -1.874 -0.611  N5 1.038
14 H 0.264 1.884 0.163  N6 0.940
15 H -1.276 1.197 0.521  N6 0.999

These are the Mulliken partial charges, in e, on atoms 1 to 5:
1. C -0.528
2. C 0.495
3. C 0.129
4. C -0.934
5. N -0.102

This record from OMol25 describes 2 unconnected molecules or ions with the total composition C4H8FNO in a non-equilibrium geometry. The level of theory is wB97M-V/def2-TZVPD.

* HOMO: -10.00 eV
* molar mass: 105.11 u
* frontier orbital gap: 10.84 eV
* spin multiplicity: 1
* SMILES string: C=CC(C)=O.NF
* net charge: 0
* E_LUMO: 0.84 eV
* ΔE to the lowest compared entry with this formula, charge and spin: 336.04 kJ/mol
* total energy: -10529.0208 eV

Each atom is followed by the atoms it is bonded to, with distances in Å.
Element x y z (Å)
1 C -0.691 -1.758 0.345  C2 1.335, H6 1.073, H7 1.067
2 C -0.366 -0.471 0.208  C1 1.335, C3 1.541, H8 1.086
3 C 0.963 -0.102 -0.478  C2 1.541, C4 1.508, O5 1.205
4 C 2.208 -0.313 0.347  C3 1.508, H9 1.075, H10 1.086, H11 1.164
5 O 1.041 0.279 -1.619  C3 1.205
6 H -0.216 -2.501 -0.266  C1 1.073
7 H -1.638 -2.164 0.622  C1 1.067
8 H -0.905 0.291 0.764  C2 1.086
9 H 1.944 -0.226 1.385  C4 1.075
10 H 2.632 -1.279 0.089  C4 1.086
11 H 3.068 0.342 -0.083  C4 1.164
12 N -2.312 1.972 -0.467  F13 1.432, H14 1.068, H15 1.040
13 F -2.065 2.199 0.924  N12 1.432
14 H -1.848 1.047 -0.732  N12 1.068
15 H -1.815 2.684 -1.040  N12 1.040

These are the Mulliken partial charges, in e, on atoms 1 to 5:
1. C -0.844
2. C -0.505
3. C 0.635
4. C -0.993
5. O -0.538

This record from OMol25 describes C4H8FNO in the gas phase in a non-equilibrium geometry. The level of theory is wB97M-V/def2-TZVPD.

* HOMO: -8.91 eV
* molar mass: 105.11 u
* frontier orbital gap: 9.80 eV
-- stop --

# What to do
Search the entries above for the word "bonded" and quote each line that has it.

# Result
Each atom is followed by the atoms it is bonded to, with distances in Å.
Each atom is followed by the atoms it is bonded to, with distances in Å.
Each atom is followed by the atoms it is bonded to, with distances in Å.